
Agroforestry in the United States - Linking Sustainable Forestry and Sustainable Agriculture

Gregory A. Ruark[1]


Sustainable forestry and sustainable agriculture share many goals. Unfortunately, there is a tendency to treat agriculture and forestry separately when addressing natural resource concerns. Yet a high proportion of the watersheds and landscapes in this country are an interwoven mosaic of both uses. Together they comprise more than 75 % of the land use in the United States. Solutions are needed that build from a comprehensive, all-lands approach. Otherwise, it is like trying to make a patchwork quilt without bothering to sew the pieces together - everything comes unravelled. Agroforestry offers a set of conservation and production technologies that can help to integrate forestry and agriculture efforts. Some promising areas where agroforestry can assist agriculture and forestry to work in partnership to meet society’s goals are water quality, carbon cycles, silvopasture, biological diversity and green infrastructure in communities.

Sustainable Development

Over the past 50 years the earth’s population doubled to reach its current level of 6 billion. Today the world’s population is increasing by 80 million annually, with the total projected to reach 10 billion within 40 more years. Humanity must learn to live within the constraints imposed by the physical environment as both a provider of inputs and a sink for wastes. The fact that today more than 1 billion people do not have access to clean water and 1.7 billion lack basic sanitation illustrates that the demands of a growing human population and an expanding global economy are already placing considerable stress on natural systems. This raises huge challenges for policy-makers as they seek to reconcile the needs and aspirations of a growing population with resource limitations.

Globally, most of the arable agricultural land is already under cultivation. In the U.S. we still have some marginal farmlands on idle, for example under the Conservation Reserve Program, but a significant amount of prime farmland is now being lost to development pressures. For example, nearly 3 million acres of cropland, 6 million acres of pasture, and 10 million acres of rangeland were converted to commercial or residential use between 1982 and 1992. Similarly, forest cover in the U.S. has now started to decline after remaining essentially constant since the 1920’s. Forestry and agriculture will both be faced with the problem of meeting an increasing demand for goods, as well as for an expanding array of services, like clean water, recreation, and wildlife habitat. These needs will have to be met with a fixed or shrinking land base.

In the near future there will be many more people to feed, cloth, and house. Technology may provide some productivity gains as improved crops become available through biotechnology and genetic engineering, but the heavy reliance on fertilizers and pesticides is already manifesting its own not-too-subtle impact on the environment. Agriculture may be able to produce sufficient food and forestry sufficient wood but production costs will rise and so too will the cost of food and wood products, as well as the potential for negative impacts to the environment. We will also need to cope with the uncertainties of weather and climate change.

Ultimately the challenge will be to find ways to sustain the provision of goods and services that society derives from forests and agriculture in ways

that meet the needs of the present without compromising the ability of future generations to meet their own needs.

Agroforestry is the intentional blending of agricultural and forestry production and conservation practices. These technologies offer a suite of practices that can be readily integrated into the operations of many farms, as well as be modified to assist communities. In the temperate United States agroforestry involves the incorporation of trees and shrubs into existing farm operations rather than a land use change from agriculture to forestry. The benefits associated with the greater adoption of agroforestry technologies can help society achieve the goals of sustainable forest and sustainable agriculture.

Sustainable Agriculture Needs Agroforestry

Today many farmers and ranchers are struggling to make a livelihood on small acreage farms. They often have limited financial means and are seeking ways to maximize their income, while keeping their need for purchased inputs low. Although 60 percent of U.S. farms are smaller than 70 hectares, more than half of farm receipts are attributed to the six percent of farms with gross sales over $250,000. Over the past 20 years 300,000 small farms have been lost in the U.S.

Production systems need to become more diverse. New crops and new methods need to be embraced. A more diversified agricultural sector means that producers will need to select from a broad portfolio of management practices - practices that include science-based agroforestry technologies. In many instances, the cost-effective incorporation of one or several agroforestry practices can be the difference between profitability and economic loss.

When the USDA National Commission on Small Farms Report was issued in January 1998, it listed several recommendations on agroforestry and concluded “...USDA extension, conservation, and forestry services should make greater efforts to promote and support agroforestry as part of an economic and ecological strategy for a healthy agriculture.”

Although some agroforestry practices, like alley cropping, require a lengthy time period to establish and realize a return on investment or, like riparian forest buffers and windbreaks, are primarily designed to provide environmental benefits, there are several agroforestry practices that can be used to rapidly generate income. For example, existing farm woodlots can often be thinned to allow sufficient light to penetrate into the understory for the purpose of growing specialty or forage crops like ginseng, shiitake mushrooms, and decorative ferns that can be sold for medicinal, culinary, or ornamental uses. In addition, silvopasture systems, which incorporate managed forage and grazing under widely spaced conifers, have shown strong economic promise in the southeast.

Sustainable Forestry Needs Agroforestry

The U.S. and Canada participated in the Montreal Process on sustainable forest management (SFM) and joined several other temperate forest countries in a commitment to SFM in signing the Santiago Declaration in 1995. Operationally, it seems less likely that a country will conclude that it is failing at SFM, but rather that in some regions, for some specific goods and services, it cannot meet society’s expectations. The first six of the seven criteria of the Montreal Process for SFM can be viewed as a statement of the goods and services that society derives from its forests:

1) Biological diversity

2) Wood and non-timber products

3) Healthy ecosystems

4) Soil and water resources

5) Carbon cycles

6) Multiple socioeconomic benefits

7) Legal and institutional framework

From this perspective, there are places in the United States that are already experiencing difficulty with some of these criteria. For example, in many areas the fragmentation of forests across the landscape has resulted in the reduction of many plant and animal species that rely on forest habitat. In other regions there are projections of inadequate wood supply. Insufficient water quality and aquatic habitat are issues that now affect most regions.

If we are to truly meet society’s needs and aspirations for forest-derived goods and services, we must find ways of augmenting traditional forestry by gleaning some portion of these benefits from agricultural lands. For example, windbreaks can provide corridors across agricultural lands to connect forest fragments, riparian forest buffers can protect surface waters from agricultural sediments, nutrients, and contaminants, hybrid poplars grown on farmlands can help meet the nation’s demand for wood fiber, and farm woodlots can be used to grow specialty products like ginseng or mushrooms under a modified forest canopy, thereby encouraging timber stand improvement practices.

Linking Sustainable Forestry and Sustainable Agriculture

The entry is interrupted by records of crystals =
i) Here is crystalline CaPrSb2O6 at its relaxed geometry from Materials Project. Energies are from PBE-GGA.

## Properties
- Total magnetization: 0.00 μB per cell

Geometry as CIF:
```
data_CaPrSb2O6
_chemical_formula_sum 'Ca2 Pr2 Sb4 O12'
_space_group_name_H-M_alt 'P 1'
_space_group_IT_number 1
_space_group_name_Hall 'P 1'
_cell_length_a 8.361
_cell_length_b 6.093
_cell_length_c 5.775
_cell_angle_alpha 90.00
_cell_angle_beta 90.00
_cell_angle_gamma 90.00
loop_
_atom_site_label
_atom_site_fract_x
_atom_site_fract_y
_atom_site_fract_z
Ca1 0.000 0.195 0.000
Ca2 0.500 0.805 0.500
Pr1 0.000 0.687 0.536
Pr2 0.500 0.313 0.036
Sb1 0.246 0.243 0.520
Sb2 0.254 0.757 0.020
Sb3 0.746 0.757 0.020
Sb4 0.754 0.243 0.520
O1 0.000 0.305 0.389
O2 0.000 0.811 0.146
O3 0.184 0.441 0.810
O4 0.184 0.950 0.696
O5 0.316 0.050 0.196
O6 0.316 0.559 0.310
O7 0.500 0.189 0.646
O8 0.500 0.695 0.889
O9 0.684 0.050 0.196
O10 0.684 0.559 0.310
O11 0.816 0.441 0.810
O12 0.816 0.950 0.696
```

***

ii) Here is crystalline CaPrSb2O6 at its relaxed geometry from Materials Project. Energies are from PBE-GGA.

## Properties
- Total magnetization: 0.00 μB per cell

Geometry as CIF:
```
data_CaPrSb2O6
_chemical_formula_sum 'Ca1 Pr1 Sb2 O6'
_space_group_name_H-M_alt 'P 1'
_space_group_IT_number 1
_space_group_name_Hall 'P 1'
_cell_length_a 6.020
_cell_length_b 6.020
_cell_length_c 6.020
_cell_angle_alpha 60.00
_cell_angle_beta 60.00
_cell_angle_gamma 60.00
loop_
_atom_site_label
_atom_site_fract_x
_atom_site_fract_y
_atom_site_fract_z
Ca1 0.000 0.000 0.000
Pr1 0.500 0.500 0.500
Sb1 0.250 0.250 0.250
Sb2 0.750 0.750 0.750
O1 0.000 0.000 0.500
O2 0.000 0.500 0.000
O3 0.000 0.500 0.500
O4 0.500 0.000 0.000
O5 0.500 0.000 0.500
O6 0.500 0.500 0.000
```

***

iii) Here is crystalline CaPrSb2O6 at its relaxed geometry from Materials Project. Energies are from PBE-GGA.

## Properties
- Total magnetization: 0.00 μB per cell

Geometry as CIF:
```
data_CaPrSb2O6
_chemical_formula_sum 'Ca1 Pr1 Sb2 O6'
_space_group_name_H-M_alt 'P 1'
_space_group_IT_number 1
_space_group_name_Hall 'P 1'
_cell_length_a 5.904
_cell_length_b 5.904
_cell_length_c 4.293
_cell_angle_alpha 90.00
_cell_angle_beta 90.00
_cell_angle_gamma 90.69
loop_
_atom_site_label
_atom_site_fract_x
_atom_site_fract_y
_atom_site_fract_z
Ca1 0.000 0.000 0.000
Pr1 0.500 0.500 0.000
Sb1 0.000 0.500 0.500
Sb2 0.500 0.000 0.500
O1 0.000 0.500 0.000
O2 0.172 0.172 0.500
O3 0.338 0.662 0.500
O4 0.500 0.000 0.000
O5 0.662 0.338 0.500
O6 0.828 0.828 0.500
```

***

Most stable = i)

***

i) Here is crystalline CaPtO6 at its relaxed geometry from Materials Project. Energies are from PBE-GGA.

## Properties
- Total magnetization: 0.00 μB per cell

Geometry as CIF:
```
data_CaPtO6
_chemical_formula_sum 'Ca2 Pt2 O12'
_space_group_name_H-M_alt 'P 1'
_space_group_IT_number 1
_space_group_name_Hall 'P 1'
_cell_length_a 6.656
_cell_length_b 6.656
_cell_length_c 7.173
_cell_angle_alpha 90.35
_cell_angle_beta 90.35
_cell_angle_gamma 120.47
loop_

Many aspects of society are challenged by the need to develop sustainably. The really difficult challenge will be to find solutions that strike a balance among the many sectors. Since population and consumption continue to escalate, sustainable development is really an optimization problem whose solution is changing over time as society strives to adapt to increasing pressures.

Agriculture and forestry share many of the same goals. Indeed, a high proportion of our watersheds are an interwoven mosaic of both uses. Agroforestry is a set of conservation and production technologies that brings these two sectors together. Some promising areas in which agriculture and forestry can work in partnership are:

Water Quality - Fresh water is one of our nation’s most important assets. Increasingly large supplies are needed for uses like irrigation of cropland, industrial and commercial applications, recreational activities, and drinking water for communities. In many instances the water must also be of high quality. Unfortunately, contaminants in many of our surface waters exceed national health and safety standards, with approximately 40 percent of our nation’s surface waters now not fit for fishing or swimming. This problem is now spilling over into our coastal marine ecosystems. Much of the water pollution can be attributed to two sectors:

Agriculture - About 70 percent of the non-point pollution of water in the U.S. comes from agricultural operations. Annually, in the United States 12 million tons of nitrogen (N) and 2 million tons of phosphorus (P) are added as commercial fertilizers, while an additional 7 million tons of N and 2 million tons of P are applied as manure. Each year, much of this fertilizer finds its ways into surface waters. The highest levels of N in streams are associated with agriculture and in areas where livestock are concentrated high phosphorus levels are also found. In addition, each year 1 billion pounds of pesticides are applied nationally, with about 75 percent of this application occurring in agriculture. Streams that course through agricultural fields are typically devoid of vegetation in their riparian zones. Runoff contains excess fertilizers, pesticides, animal wastes, and soil sediments and has led to the impairment of many of our freshwater resources. In fact, the level of N runoff from farmlands is so great that it now triggers a biological chain reaction each summer in the Gulf of Mexico that depletes the oxygen from an area covering 8,000 square miles. Commercial fishermen call this hypoxia zone the “dead zone”.

Agroforestry technologies, like riparian forest buffers, have been shown to be effective in using trees to reduce water pollution from agricultural activities. These buffers can slow and reduce the transport of runoff to streams, thereby allowing more time for the environment to degrade pesticides and animal waste products and increasing the infiltration of water and contaminants into the soil.

Community Stormwater Runoff - As a community grows, land that was once covered with vegetation becomes surfaced with houses, businesses, and pavement. Storm drains and impervious surfaces replace the natural functions of the landscape that absorb, filter, and transport rainwater. Rain concentrates in gutters, driveways, parking lots, and streets and is collected by stormdrains. Immense volumes of this stormwater reach surface waters at high velocities and containing numerous contaminants. The Clean Water Act now requires communities to develop plans and treat stormwater to improve its quality. A set of concrete pipes that simply passes stormwater onto downstream neighbors is no longer acceptable.

Agroforestry approaches that utilize trees, shrubs, and grasses to manage stormwater runoff are being adapted to meet community needs to detain and treat stormwater. The vegetation can also act as a living filter to improve water quality downstream and protect stream channels.

Carbon - Agricultural activities occur on almost half of the land in the contiguous U.S. and much of the opportunity to store carbon through afforestation will occur on farms and ranches. Agroforestry can play a significant role in the carbon balance cycle when proper attention is given to site location, species selection, and management. Windbreaks not only increase carbon storage in the vegetation and roots, but also provide energy conservation by reducing heat loss in farmsteads, feed costs to livestock, and snow removal costs. Field windbreaks reduce irrigation water loss, keep nutrient rich topsoil in place and improve crop production. Riparian buffers are natural carbon sinks. When suitable trees and shrubs are grown in these moist environments they also filter out excess nutrients coming from adjacent agricultural or urban activities. Short rotation woody crops, like hybrid poplars, can sequester and store carbon rapidly while treating agricultural, livestock, and community wastes. All of these agroforestry practices improve soil carbon storage by reducing annual tillage and can provide additional carbon storage in wood products derived from the trees.

Silvopasture - Research has demonstrated that many forage plants will yield high levels of quality biomass when grown under up to fifty percent shade. This knowledge is being used to design agroforestry timber/grazing systems in pine stands. These “silvopasture” systems allow trees to be grown as a long-term product, while on the same piece of ground an annual income can be generated from grazing livestock. In a silvopasture system trees are grown at a low stocking density to allow about half the sunlight to reach the ground to grow forage. Forest management is encouraged as trees must be thinned and pruned periodically throughout the rotation to maintain the proper light level for forage. As a result, most of the wood produced is sawtimber or veneer quality, which can be sold for several times the price of pulpwood. While landowners see economic diversification as the main reason for establishing this new practice, other benefits include erosion control, improved wildlife habitat, and carbon sequestering. In addition, the low tree stocking rates and managed understory of silvopasture systems makes them inherently low risks for damage by catastrophic wildfires.

Biological diversity - There simply is not enough forested habitat in some landscapes to support many species of plants and animals. Agroforestry provides ways of augmenting the supply of forest habitat. If spatial arrangement is considered agroforestry plantings can also be used to connect forest fragments and other critical habitats in the landscape. Where croplands occupy most of the landscape, linear riparian zones and field windbreaks have been argued to be essential in maintaining plant and animal biodiversity, especially under a changing climate scenario. Agroforestry adds plant and animal biodiversity to landscapes that might otherwise contain nothing but monocultures of row crops. Windbreak plantings can be designed to optimize wildlife benefits by using designs that are wider and incorporate several native species of trees, shrubs, grasses, and other plants. Riparian forest buffers that are now primarily designed to protect streams and surface water quality can be modified to increase their benefit for conserving plant and animal biodiversity.

Green Infrastructure in Communities - People who live in urban/suburban areas have become increasingly concerned with the accelerating loss of open and green space. This is a quality-of-life issue to many and raises the potential for agroforestry applications at the agricultural/community interface to restore ecological functions that provide for stormwater management, wildlife habitat, recreational opportunities, and aesthetic enhancements. Communities have long understood the need for “gray infrastructure” like water and sewer lines, power lines, and roadways. More recently, the importance of “green infrastructure” that consists of a planned and managed, interconnected network of natural areas (waterways, wetlands, forests and conservation lands like greenways and parks) and adjacent working lands (farms, ranches, and corporate lands) has gained recognition in many communities. Together these lands have the potential to support wildlife, maintain ecological processes, sustain air and water resources, and contribute to the health and quality of life for communities. Green infrastructure, as an integral part of the urban and rural landscape, can provide the strategic conservation framework needed for environmental, social, and economic sustainability.

Summary - Agroforestry is relevant to many issues that society cares about and it can help achieve many of the goals of sustainable forestry and sustainable agriculture. Unfortunately many resource professionals and landowners don’t see the connections. Agroforestry technologies need to become an integral part of a natural resource professional’s toolbox. Otherwise, as the old saying goes, “If the only tool in your toolbox is a hammer, everything begins to look like a nail.” With more than 80 percent of U.S citizens now living in urban or suburban environments it has become increasingly important that people understand that much of what they value is derived from agriculture and forestry. They need to understand that clean water does not just happen; that the food and fiber they consume and the wastes they generate have associated consequences and responsibilities.

[1] Director U.S.D.A. National Agroforestry Center, East Campus - UNL Lincoln, Nebraska 68583-0822. Tel: (402) 437-5178; Email: [email protected]; Website: www.unl.edu/nac